Wyrm Sniper

Uranda's page

14 posts. Alias of Grandlounge.

About Uranda

Neutral Good Medium Human Alchemist 1;

Init +3; Senses: Perception: +5

AC 16, touch 13, flat-footed 13
HP 11

Fort 4, Ref 5, Will 1

Speed 30 ft.

Ranged Pistol +3 (1d8/x4),
Alchemist spells prepared (CL 1; concentration +5)
1st (2/day)- Longshot (DC 15); Shield (DC 15);

Str 12, Dex 16, Con 14, Int 18, Wis 12, Cha 7

Base Atk +0; CMB 0; CMD 13

Feats Gunsmithing; Point-Blank Shot; Precise Shot;
SQ Alchemical Ordnance; Alchemy; Bomb +1d6+4; Gunsmith; Toxic Secretion;

Here the page breaks off for records of molecules =
+++
8
Properties=species:S:1:pos:R:3:mulliken_charge:R:1 method="wB97M-V/def2-TZVPD" total_energy_ev=-15018.2292 e_homo_ev="-8.711 / -7.773" gap_ev="7.64 / 6.80"
C -0.65 0.03 -0.16 -0.6932
C -0.21 0.21 1.12 -0.4708
O 1.85 0.14 -1.74 -0.3726
S 1.00 -0.97 -1.29 0.3117
H -1.34 -0.78 -0.36 0.3536
H -0.71 0.88 -0.83 0.3259
H 0.35 1.08 1.41 0.2719
H -0.29 -0.59 1.84 0.2735
+++

Skills: Craft Alchemy +9 (BG); Heal +5; Diplomacy +8; Knowledge (arcana) +8; Knowledge (geography) +8; Knowledge (local) +5; Knowledge (nature) +8; Knowledge (planes) +5; Perception +5; Spellcraft +8;

Traits: Student of Philosophy, Ship's Surgeon,

Equipment: studded leather armor, battered pistol,torch, oil, 1 pint flask, fuel pellet (10); Other Gear: sling, oil, 1 pint flask, underwater goggles, pirate clothes (basic), bullet (firearm/pitted) (2), bullet (firearm) (3), earplugs, dart, blowgun, darts, blowgun (10), powder horn, waterproof bag, candlestick, twine (50 ft.) (2), flask (2), coffee beans (per lb.), iron spike, rice paper, sheet (10), chalkboard, rope (50 ft.), formula book, alchemy crafting kit, healer's kit, gunsmith's kit, flotation device, bullets, sling (10) (2), bandolier, waterskin (2)

Mawagi Gun Chemist Toxicant Alchemist, you know you, classic shaman or tribal advisor, who is expected to travel and bring his experience back to the group.

Backstory for Uranda the Mawangi pirate alchemsit:

Uranda is a Mawangi man. Tall and lean with a confident bearing. Since he was a child, he trained under Haktu, who took on three apprentices. This practice is standard, one apprentice is to become the herbalist, the second is to become the shaman (spiritual leader of the tribe), and the third is chief and leader of the tribe. It is the sacred duty of the shaman to train these three crucial future leaders of each generation. The three candidates are trained generally in all aspects of healing (Ship's Surgeon), morality (student of philosophy) and leadership and only in their mid-twenties are their aptitudes assessed and their future role assigned.

Uranda did not want to be the chief. The chief was tied down to their homeland permanently; they managed the military, governance, and taxes. They worked firmly in the realm of the practical and Uranda thrived in the theoretical, potions, munitions, healing, and tactics were things he had passion for. Five days before the group was to be assigned their future roles Uranda started to dig through the tribal history to find a way to choose his position. In ancient times there was a rite of passage for next shaman, the 'da maté.' The young future shaman was expected to travel the world and bring back knowledge and wealth to improve the lives of their people. Because it is such a time-consuming process, the disciple and would-be shaman would typically leave in their teens, forcing the decision to be made early. It seemed that by invoking this rite and go in the subsequent fives day could ensure his position as the shaman and avoid the chance to the chief. So, Uranda wrote a note invoking the da maté and left for Bloodcove. There was no place he could think of more different than his ancestral homeland and more accessible to the world than a port town run by pirates.

With little money, he quickly found that people who deal in illegal trades often need someone who understands the properties of chemicals. He started to see how dangerous the world was and how necessity can supersede morality if one lacked conviction, so he committed to limit his work to what was needed for his protection, a simple form of utilitarianism (student of philosophy). In all instances, he kept his tribe's most deadly techniques to himself (toxicant). To his good fortune, he did not stay here long, one of his early clients left three broken firearms with him and mysteriously disappeared, which was surprisingly common in this region. Even in this state, these weapons were precious. Though loathed to profit from death, this was the quickest way out of the hellhole that Uranda found himself in, so he found a buyer for two of the guns kept the third for himself (class's starting weapon) and booked passage on a ship to the Shackles. The shackles were not much better than Bloodcove. Still, here, there was a sense of liberty, freedom, and independence that was vastly different from the filial piety, appeal to authority, and tribal unity he was used to.

Previous post about myself as a player Here

Little about yourself:

I'm an active player I like to move a story along. There is a PBP guide on the boards that talks about posts that 'push' to move the action along, and that idea is pretty central to how I play. I post with suggestion movement and questions to the story. I try to convey as much through dialogue and action as possible, so I don't write a lot of internal monologues or thought processes, instead, of saying he 'thinks that this is a bad idea but says nothing' I would have the character hum and haw about the plan. Finally, I like the story and mechanics of my characters to be harmonious. A fletcher druid who was a raptor-kin druid archer with the eagle domain, or a failed wizard who is a fighter the can make potions, summon a familiar use wands without check. These are a couple of examples of race traits, class skill, build style and archetypes all flavouring a concept so that the mechanics and RP live together.

Your gaming history:

Started playing tabletop RPGs late in life I have been active for the last seven years. I have played with may GMs and GMed for many players. I like adapting to new groups and play styles. As such, I don't have a lot of hangups about how a game is run RAW, RAI, Rule of cool I can make it work can have fun.

Your time zone and when you usually post:

MST I post morning and night for long posts and one coffee breaks or at lunch for short posts to keep things moving.

What role do you see them filling in the group?:

Knowledge and magic-related skills, artillery, and ranged damage as well as some utility casting. Ranged damage and skills would be starting roles. Control as more bomb options become available, buffer as he is able to pick up and use more infusions.

Unrelated to this page: quantum chemistry results:
+++
No. 1
30
Properties=species:S:1:pos:R:3 method="wB97M-V/def2-TZVPD" multiplicity=1 mol_weight_g_mol=179.27 e_above_lowest_kj_mol=557.8 total_charge=+2 homo_lumo_gap_ev=7.87
C -9.56 1.94 0.62
C -9.58 1.71 -0.73
C -9.96 -0.72 -1.50
C -9.42 -0.52 1.16
C -9.36 0.85 1.63
C 7.90 -1.72 1.22
C 8.85 -0.79 -1.47
C 8.88 1.57 -0.59
C 7.85 -0.17 0.88
C 8.44 0.18 -0.36
N -9.61 -1.58 0.66
N -9.79 -1.85 -0.63
N -9.67 0.38 -1.09
H -9.55 2.83 1.15
H -9.58 2.29 -1.62
H -10.24 -1.11 -2.53
H -8.31 0.84 2.13
H -10.13 0.81 2.51
H 7.30 -1.76 2.18
H 7.38 -2.23 0.37
H 8.90 -2.14 1.29
H 9.05 -0.13 -2.43
H 8.02 -1.45 -1.46
H 9.73 -1.17 -1.10
H 8.27 2.30 0.13
H 9.91 1.52 -0.35
H 8.79 1.90 -1.57
H 8.19 0.51 1.62
H 6.91 0.38 0.99
H -9.62 -2.70 -1.13

No. 2
31
Properties=species:S:1:pos:R:3 method="wB97M-V/def2-TZVPD" multiplicity=1 mol_weight_g_mol=195.27 e_above_lowest_kj_mol=359.7 total_charge=0 homo_lumo_gap_ev="8.44 / 8.44"
C -2.31 2.42 -2.58
C -1.49 0.49 -2.35
C 0.03 0.46 -2.08
C 0.45 -0.37 -0.96
C 2.57 -1.20 1.15
C 1.17 0.12 2.81
C 0.23 -1.94 1.62
C -2.25 0.22 -0.10
C 0.72 0.15 0.26
C 1.13 -0.76 1.52
N -1.82 1.48 -3.31
N -2.49 2.20 -1.29
N -2.15 0.99 -1.09
O 0.83 1.48 0.54
H -2.72 3.29 -2.98
H -1.85 -0.52 -2.57
H 0.69 0.03 -2.91
H 0.30 1.57 -2.20
H 0.36 -1.36 -1.30
H 3.25 -0.32 1.09
H 3.16 -1.62 2.06
H 2.76 -1.86 0.24
H 0.40 -0.44 3.40
H 1.09 1.16 2.71
H 2.08 -0.27 3.24
H 0.63 -2.66 0.83
H 0.18 -2.50 2.58
H -0.87 -1.84 1.48
H -2.73 0.55 0.68
H -1.97 -0.87 -0.21
H 0.61 1.91 -0.27

no.,energy (a.u.)
1,-554.6992
2,-630.5756
+++

On the ship?:

Medic, ammunition and black powder maker. I'm flexible.

I love personal growth in characters. So along those lines, how do you see this character changing over the next 15-16 levels?:

I think he would have the ambition of becoming a first mate or and principal advisor as that will be his role when he gets back home. He would want to be more decisive but will need the confidence to know he can make the right decision. I think he will be consistently tested as to whether he wants to bring back knowledge, which he knows is the most valuable asset to his people, or bring back a pile of gold. The second option would likely devastate the local economy, though he does not understand that yet (i.e. teach a mand to fish). But, it seems like the faster, easier solution to their problems. I also see his view of 'his people' changing expanding far beyond his tribe may be trying to make connections between distant cultures.

Optionally, if there's a particular post (or posts) you've made in another game that you're proud of, put a link to it in your application.:

This is a long thread where an academically inclined former Nobel fights about what it means to take away free will and what is the nature of evil and how this impacts the law. The context is this is a Kingmaker game, and we are deciding on the way a kingdom should be run (my characters don't act like this in every game, and I cleared continuing with the other PCs).

-- Molecular data, kept here for reference --
- - -
Molecular formula: C5H17N3O
Method: DFT, the ωB97M-V functional and the def2-TZVPD basis

Geometry as XYZ:
```
26
Properties=species:S:1:pos:R:3:forces:R:3
C -1.21489 -2.98125 -0.60136 0.1 0.4 0.3
C -0.60703 -1.69489 -0.04083 0.8 -0.4 -0.4
O -1.55707 -0.70375 0.02429 0.2 1.6 0.0
N 0.52940 -1.20057 -0.86196 -0.3 0.3 0.0
N 1.65138 -2.12144 -0.85551 -0.1 -0.4 -0.2
H -2.00287 -3.32425 0.06351 -0.1 -0.1 0.0
H -1.64796 -2.77889 -1.57963 0.0 0.0 -0.1
H -0.45184 -3.75210 -0.69314 0.0 0.0 0.0
H -0.16251 -1.90311 0.95561 0.0 0.0 -0.1
H -1.06701 0.24095 0.14764 -0.4 -1.9 0.0
H 0.21231 -1.13472 -1.82820 -0.1 -0.3 0.1
H 2.42088 -1.63770 -1.31794 -0.1 0.0 0.3
H 1.91799 -2.23667 0.12099 0.1 0.2 -0.1
C 1.32826 1.10561 0.72543 -1.8 1.8 0.0
N -0.15333 1.52847 0.42063 2.1 -0.7 0.0
C -0.70072 2.26656 1.54368 0.2 0.0 0.2
C -0.22239 2.29950 -0.80754 0.1 0.1 0.0
H 1.29442 0.50745 1.63446 0.2 -0.2 -0.2
H 1.85756 0.64058 -0.10293 -0.7 -0.3 0.1
H 1.86651 2.04010 0.93132 0.0 0.0 0.3
H -1.73359 2.54720 1.33734 0.0 0.0 0.0
H -0.12732 3.18049 1.75938 0.0 0.0 0.0
H -0.68564 1.63056 2.42839 0.0 0.0 0.0
H 0.37320 3.22348 -0.75869 0.0 0.0 0.0
H 0.14245 1.69304 -1.63089 0.1 -0.1 -0.1
H -1.26020 2.56534 -1.01406 0.0 0.0 0.0
```
Forces are in eV/Å.

Frontier orbital gap ... 8.68 eV
ΔE to the lowest compared entry with this formula, charge and spin ... 2.223 eV
Electronic energy ... -440.137578 Eh

----------

[1]
The following is a quantum chemistry calculation of a molecular structure, C49H39EuN6O8P in a non-equilibrium geometry, from the Open Molecules 2025 dataset.

```
104
Properties=species:S:1:pos:R:3:forces:R:3
Eu 12.373 9.630 12.869 -0.336 0.779 0.912
P 14.950 11.441 9.762 -0.886 -0.387 1.600
O 13.771 18.771 12.426 -1.477 -1.000 -1.263
O 10.379 8.765 11.799 -1.637 -0.545 0.298
O 12.408 11.952 11.950 -3.318 1.884 0.594
O 15.967 8.111 10.976 -0.341 0.359 -0.993
O 10.101 12.423 11.941 3.123 1.242 0.411
O 12.126 19.010 10.986 1.500 -1.225 1.330
O 5.103 12.942 18.052 -0.444 2.548 0.087
O 13.933 8.911 11.453 2.205 -0.560 -2.677
N 11.065 7.499 14.011 -1.914 -0.196 -0.992
N 6.390 7.886 15.247 0.195 1.175 0.677
N 14.604 9.438 14.690 -0.055 0.722 1.568
N 6.779 8.095 16.460 1.075 -0.790 -1.166
N 12.071 10.919 15.292 0.738 0.289 -0.258
N 12.834 18.294 11.742 0.306 2.996 0.357
C 16.935 7.161 17.932 -0.325 -0.049 0.073
C 4.893 9.623 16.693 1.618 -0.698 0.144
C 16.672 8.121 16.944 0.344 0.391 1.268
C 11.777 14.192 11.794 -0.056 1.129 1.443
C 11.297 11.889 15.787 -0.212 -0.480 0.978
C 7.378 7.591 14.312 -1.543 0.762 -0.103
C 8.041 8.474 12.119 0.457 -0.329 0.741
C 14.469 10.351 15.620 0.864 -0.329 -1.187
C 5.989 13.987 17.557 -0.293 -0.087 0.515
C 4.601 10.912 16.968 -0.421 2.241 0.691
C 9.723 7.647 13.707 0.481 0.027 2.896
C 19.046 11.149 9.726 0.363 -0.310 0.040
C 13.298 11.106 15.912 -0.359 -0.153 -0.023
C 11.356 16.478 11.138 1.246 0.024 1.457
C 14.967 8.771 10.640 -0.815 -0.424 3.820
C 13.495 13.023 7.900 -0.266 -0.346 -0.233
C 6.896 9.793 18.112 -0.604 -0.518 -0.429
- - -

Here is one that because of a chase scene, I had to solo an encounter or die. It was a PFS scenario where you are mythic for a short time. I'm not showing this to say, look how good my characters are. What I hope it shows is that I'm fully committed to the character, as this PC does not kill people even faced with life or death maintained this poured all his magic and mythic abilities into maintaining this trait. Then due to a misunderstanding, the GM said one of the characters die, which we remedied through roleplay in a way the group and I really liked.

Both are long; don't feel like you have to read them.